Activity.
Please write out the rows below verbatim.

Input.
........
CsAlFeF6: optimized geometry, PBE+U.

a = 5.3694 Å, b = 9.3142 Å, c = 6.4469 Å
α = 90.00°, β = 90.00°, γ = 90.00°
Closest atoms and distances in Å follow each position.
Space group C2 (No. 5)
Asymmetric unit:
Cs1 0.0000 0.0000 0.0000 x2  6 F 3.00
Al1 0.0000 0.3335 0.5000 x2  6 F 1.84
Fe1 0.0000 0.6669 0.5000 x2  6 F 2.10-2.12
F1 0.1153 0.4822 0.6624 x4  1 Al 1.84
F2 0.1628 0.2021 0.6637 x4  1 Al 1.84
F3 0.2179 0.8179 0.6613 x4  1 Al 1.84

- Volume: 17.91 A^3/atom
- E_tot: -5.459 eV/atom
........

Solution.
CsAlFeF6: optimized geometry, PBE+U.

a = 5.3694 Å, b = 9.3142 Å, c = 6.4469 Å
α = 90.00°, β = 90.00°, γ = 90.00°
Closest atoms and distances in Å follow each position.
Space group C2 (No. 5)
Asymmetric unit:
Cs1 0.0000 0.0000 0.0000 x2  6 F 3.00
Al1 0.0000 0.3335 0.5000 x2  6 F 1.84
Fe1 0.0000 0.6669 0.5000 x2  6 F 2.10-2.12
F1 0.1153 0.4822 0.6624 x4  1 Al 1.84
F2 0.1628 0.2021 0.6637 x4  1 Al 1.84
F3 0.2179 0.8179 0.6613 x4  1 Al 1.84

- Volume: 17.91 A^3/atom
- E_tot: -5.459 eV/atom